Set down the contents further below without altering anything.
-- begin --
# 1
C4H11S | the ωB97M-V functional and the def2-TZVPD basis

**Net charge**: -1
**HOMO energy**: -1.976 eV
**Calculated total energy**: -557.17656 Ha

Geometry (Å):
C -0.299 4.001 0.092
S -1.730 2.878 -0.225
H 0.499 3.719 -0.594
H 0.042 3.802 1.114
H -0.597 5.030 -0.126
C 0.528 -2.926 -0.619
C 0.424 -1.882 0.502
C -0.221 -0.533 0.138
H 0.311 -2.426 -1.567
H 1.201 -3.781 -0.662
H -0.458 -3.439 -0.520
H -0.088 -2.284 1.394
H 1.431 -1.667 0.881
H 0.145 0.223 0.827
H -1.311 -0.555 0.205
H 0.124 -0.161 -0.840

# 2
C4H11S | the ωB97M-V functional and the def2-TZVPD basis

**Net charge**: -1
**HOMO energy**: -1.988 eV
**Calculated total energy**: -557.14078 Ha

Geometry (Å):
C 2.786 -0.566 0.184
S 2.250 -1.698 1.530
H 2.317 -0.974 -0.756
H 3.943 -0.672 0.205
H 2.691 0.514 0.246
C -0.061 -0.174 -0.063
C -1.309 0.320 -0.670
C -2.347 0.848 0.405
H -0.294 -0.859 0.809
H 0.419 -0.785 -0.844
H 0.591 0.545 0.140
H -1.199 1.028 -1.523
H -1.786 -0.567 -1.249
H -3.285 1.311 -0.122
H -1.793 1.721 0.822
H -2.923 0.009 0.886

# 3
C4H11S2 | the ωB97M-V functional and the def2-TZVPD basis

**Net charge**: -1
**HOMO energy**: -2.311 eV
**Calculated total energy**: -955.38989 Ha

Geometry (Å):
C 2.109 1.857 -0.651
S 0.913 0.955 -1.702
H 2.639 2.616 -1.234
H 1.603 2.407 0.150
H 2.857 1.175 -0.237
C 0.513 -0.770 1.210
C -0.826 -0.232 0.736
C -1.483 -1.176 -0.273
S -3.071 -0.438 -0.810
H 1.028 -0.027 1.822
H 1.158 -0.990 0.360
H 0.379 -1.672 1.820
H -1.525 -0.071 1.568
H -0.676 0.704 0.185
H -1.731 -2.121 0.212
H -0.792 -1.266 -1.109
H -3.096 -0.951 -2.047

# 4
C4H12 | the ωB97M-V functional and the def2-TZVPD basis

**<S²>**: 0.7502
**Net charge**: -1
**HOMO energy (spin up / spin down)**: 1.466 / -7.305 eV
**2S+1**: 2
**Calculated total energy**: -159.47877 Ha

Geometry (Å):
C 0.626 -0.190 1.896
C 2.146 -0.413 1.800
H 0.277 -0.103 0.908
H 0.144 -1.194 2.158
H 0.424 0.605 2.629
H 2.560 -0.749 0.945
H 2.658 0.517 1.941
H 2.542 -1.031 2.626
C -1.225 0.404 -1.099
C -1.532 0.184 -2.640
H -1.386 -0.446 -0.555
H -0.117 0.668 -0.956
H -2.061 1.195 -0.862
H -1.603 -0.931 -2.843
H -0.899 0.787 -3.324
H -2.553 0.698 -2.623

* * * * *

(1)
{
  "formula": "C43H92Br2FN4O16PS",
  "method": "ωB97M-V/def2-TZVPD",
  "elements": ["C", "C", "C", "C", "C", "C", "C", "C", "C", "F", "C", "C", "C", "O", "C", "C", "O", "C", "P", "O", "O", "O", "O", "S", "O", "O", "C", "C", "Br", "C", "C", "Br", "H", "H", "H", "H", "H", "H", "H", "H", "H", "H", "H", "H", "H", "H", "H", "H", "H", "H", "H", "H", "H", "H", "H", "H", "H", "H", "H", "H", "H", "H", "H", "H", "C", "O", "C", "C", "N", "C", "C", "O", "C", "H", "H", "H", "H", "H", "H", "H", "H", "H", "H", "H", "H", "H", "H", "H", "C", "O", "C", "C", "N", "C", "C", "O", "C", "H", "H", "H", "H", "H", "H", "H", "H", "H", "H", "H", "H", "H", "H", "H", "C", "O", "C", "C", "N", "C", "C", "O", "C", "H", "H", "H", "H", "H", "H", "H", "H", "H", "H", "H", "H", "H", "H", "H", "C", "O", "C", "C", "N", "C", "C", "O", "C", "H", "H", "H", "H", "H", "H", "H", "H", "H", "H", "H", "H", "H", "H", "H"],
-- stop --
# 1
C4H11S | the ωB97M-V functional and the def2-TZVPD basis

**Net charge**: -1
**HOMO energy**: -1.976 eV
**Calculated total energy**: -557.17656 Ha

Geometry (Å):
C -0.299 4.001 0.092
S -1.730 2.878 -0.225
H 0.499 3.719 -0.594
H 0.042 3.802 1.114
H -0.597 5.030 -0.126
C 0.528 -2.926 -0.619
C 0.424 -1.882 0.502
C -0.221 -0.533 0.138
H 0.311 -2.426 -1.567
H 1.201 -3.781 -0.662
H -0.458 -3.439 -0.520
H -0.088 -2.284 1.394
H 1.431 -1.667 0.881
H 0.145 0.223 0.827
H -1.311 -0.555 0.205
H 0.124 -0.161 -0.840

# 2
C4H11S | the ωB97M-V functional and the def2-TZVPD basis

**Net charge**: -1
**HOMO energy**: -1.988 eV
**Calculated total energy**: -557.14078 Ha

Geometry (Å):
C 2.786 -0.566 0.184
S 2.250 -1.698 1.530
H 2.317 -0.974 -0.756
H 3.943 -0.672 0.205
H 2.691 0.514 0.246
C -0.061 -0.174 -0.063
C -1.309 0.320 -0.670
C -2.347 0.848 0.405
H -0.294 -0.859 0.809
H 0.419 -0.785 -0.844
H 0.591 0.545 0.140
H -1.199 1.028 -1.523
H -1.786 -0.567 -1.249
H -3.285 1.311 -0.122
H -1.793 1.721 0.822
H -2.923 0.009 0.886

# 3
C4H11S2 | the ωB97M-V functional and the def2-TZVPD basis

**Net charge**: -1
**HOMO energy**: -2.311 eV
**Calculated total energy**: -955.38989 Ha

Geometry (Å):
C 2.109 1.857 -0.651
S 0.913 0.955 -1.702
H 2.639 2.616 -1.234
H 1.603 2.407 0.150
H 2.857 1.175 -0.237
C 0.513 -0.770 1.210
C -0.826 -0.232 0.736
C -1.483 -1.176 -0.273
S -3.071 -0.438 -0.810
H 1.028 -0.027 1.822
H 1.158 -0.990 0.360
H 0.379 -1.672 1.820
H -1.525 -0.071 1.568
H -0.676 0.704 0.185
H -1.731 -2.121 0.212
H -0.792 -1.266 -1.109
H -3.096 -0.951 -2.047

# 4
C4H12 | the ωB97M-V functional and the def2-TZVPD basis

**<S²>**: 0.7502
**Net charge**: -1
**HOMO energy (spin up / spin down)**: 1.466 / -7.305 eV
**2S+1**: 2
**Calculated total energy**: -159.47877 Ha

Geometry (Å):
C 0.626 -0.190 1.896
C 2.146 -0.413 1.800
H 0.277 -0.103 0.908
H 0.144 -1.194 2.158
H 0.424 0.605 2.629
H 2.560 -0.749 0.945
H 2.658 0.517 1.941
H 2.542 -1.031 2.626
C -1.225 0.404 -1.099
C -1.532 0.184 -2.640
H -1.386 -0.446 -0.555
H -0.117 0.668 -0.956
H -2.061 1.195 -0.862
H -1.603 -0.931 -2.843
H -0.899 0.787 -3.324
H -2.553 0.698 -2.623

* * * * *

(1)
{
  "formula": "C43H92Br2FN4O16PS",
  "method": "ωB97M-V/def2-TZVPD",
  "elements": ["C", "C", "C", "C", "C", "C", "C", "C", "C", "F", "C", "C", "C", "O", "C", "C", "O", "C", "P", "O", "O", "O", "O", "S", "O", "O", "C", "C", "Br", "C", "C", "Br", "H", "H", "H", "H", "H", "H", "H", "H", "H", "H", "H", "H", "H", "H", "H", "H", "H", "H", "H", "H", "H", "H", "H", "H", "H", "H", "H", "H", "H", "H", "H", "H", "C", "O", "C", "C", "N", "C", "C", "O", "C", "H", "H", "H", "H", "H", "H", "H", "H", "H", "H", "H", "H", "H", "H", "H", "C", "O", "C", "C", "N", "C", "C", "O", "C", "H", "H", "H", "H", "H", "H", "H", "H", "H", "H", "H", "H", "H", "H", "H", "C", "O", "C", "C", "N", "C", "C", "O", "C", "H", "H", "H", "H", "H", "H", "H", "H", "H", "H", "H", "H", "H", "H", "H", "C", "O", "C", "C", "N", "C", "C", "O", "C", "H", "H", "H", "H", "H", "H", "H", "H", "H", "H", "H", "H", "H", "H", "H"],